[Listing]
┌──
ORCA calculation (ωB97M-V/def2-TZVPD) on a cluster of 3 separate species, C30H54BClN2O4S in total.

Computed properties:
orbital gap (alpha / beta)	7.21 / 7.19	eV
2S+1	3
<S²>	2.010
lowest unoccupied orbital energy (alpha / beta)	-0.731 / -0.743	eV

Each line ends with the Löwdin spin population.
Element x y z (Å)
Cl (5.1891, -0.1197, 1.0043)  0.00
S (4.6696, -1.5614, -0.4701)  0.00
O (5.7845, -2.6521, -0.4469)  0.00
O (-0.2055, -5.6945, -0.5339)  0.61
O (4.7315, -0.8143, -1.8450)  0.00
O (-0.6661, 5.9179, 0.8613)  0.62
N (-0.5048, 7.3147, 0.9486)  0.31
N (-0.7901, -6.3646, 0.5587)  0.31
C (-0.6358, 7.6861, 2.3987)  0.02
C (1.9231, 7.7940, 2.5819)  0.00
C (0.8002, 7.6574, 0.2801)  0.02
C (0.9923, 1.6005, -2.4559)  0.00
C (-3.1804, -6.2723, -0.3011)  0.01
C (-1.8195, 0.6194, -1.1098)  0.00
C (-3.1742, -7.7847, -0.4860)  0.00
C (0.5460, 2.2098, -0.9657)  0.00
C (0.0069, 0.4998, -3.2378)  0.00
C (-1.8740, 7.0227, 3.0999)  0.00
C (-0.9558, 9.1982, 2.5216)  0.00
C (-2.1727, -4.2096, 0.7374)  0.00
C (0.4515, -0.1621, -4.7034)  0.00
C (-1.7656, -8.2889, -0.7914)  0.01
C (-0.9341, -8.6703, 1.5640)  0.00
C (2.9430, -2.3103, -0.1440)  0.00
C (-0.8839, 1.6935, -0.2816)  0.00
C (-2.6602, -6.0980, 2.1888)  0.00
C (0.6243, 7.3253, 3.2261)  0.01
C (-0.7231, -7.8403, 0.2669)  0.02
C (0.9437, 6.9802, -1.1234)  0.00
C (0.7009, -8.2882, -0.2028)  0.00
C (2.6278, -3.5828, -1.1398)  0.00
C (1.8570, -2.1115, -3.2004)  0.00
C (-1.4115, -0.0096, -2.5906)  0.00
C (2.0324, 7.2846, 1.1465)  0.01
C (0.8651, 9.1725, -0.0610)  0.00
C (1.3811, -3.3391, -2.1843)  0.00
C (-2.1598, -5.7794, 0.7563)  0.02
C (-1.2369, 2.3328, 1.1960)  0.00
B (0.7449, -1.7816, -4.3818)  0.00
H (-0.5752, -9.6996, 1.4391)  0.00
H (1.2070, -4.3250, -2.8335)  0.00
H (-1.9421, -3.7950, -0.2504)  0.00
H (2.7732, 7.4249, 3.1649)  0.00
H (2.9360, -2.6657, 0.9748)  0.00
H (1.4657, -7.9843, 0.5231)  0.00
H (1.8459, 7.3307, -1.6408)  0.00
H (0.1736, -2.5871, -5.0275)  0.00
H (-2.8000, 7.2313, 2.5504)  0.00
H (2.1490, -1.1510, -2.5544)  0.00
H (-0.1455, 9.8547, 2.2181)  0.00
H (1.2576, 2.9607, -0.4161)  0.00
H (-2.9672, -5.8064, -1.2698)  0.00
H (2.1943, -1.3961, -0.3136)  0.00
H (-2.8625, -7.1495, 2.3702)  0.00
H (0.0856, 7.2212, -1.7635)  0.00
H (-1.9780, -8.7841, 1.8505)  0.00
H (0.3548, -3.1293, -1.6519)  0.00
H (-0.3579, 2.0956, 1.9581)  0.00
H (1.4993, 0.2610, -5.0830)  0.00
H (-0.0869, 9.5278, -0.4718)  0.00
H (2.0080, 1.9050, -2.9804)  0.00
H (-1.4730, -7.9276, -1.7865)  0.00
H (-2.0496, -0.7830, -3.1940)  0.00
H (-2.2112, 1.8903, 1.6735)  0.00
H (2.1605, 6.1940, 1.1713)  0.00
H (-1.8430, 9.4605, 1.9323)  0.00
H (-1.1647, 9.4710, 3.5633)  0.00
H (-1.9999, 7.4158, 4.1150)  0.00
H (1.0344, 5.8902, -1.0634)  0.00
H (2.3459, -4.4917, -0.4413)  0.00
H (0.5503, 7.7534, 4.2331)  0.00
H (1.9861, 8.8875, 2.6110)  0.00
H (-0.3808, -8.2384, 2.4058)  0.00
H (-1.3187, 3.5226, 1.1879)  0.00
H (-2.8318, 0.2214, -0.6463)  0.00
H (-1.4563, -3.7983, 1.4589)  0.00
H (0.9740, -7.8819, -1.1827)  0.00
H (-1.9382, -5.7574, 2.9411)  0.00
H (-4.1926, -5.9500, -0.0282)  0.00
H (-3.5766, -8.2760, 0.4068)  0.00
H (3.6163, -3.7933, -1.7669)  0.00
H (-3.8439, -8.0542, -1.3092)  0.00
H (2.9482, 7.6862, 0.6946)  0.00
H (-3.6095, -5.5885, 2.3946)  0.00
H (1.6354, 9.3766, -0.8152)  0.00
H (1.1421, 9.8033, 0.7815)  0.00
H (0.6808, 6.2396, 3.3640)  0.00
H (2.8819, -2.4423, -3.7156)  0.00
H (-1.7722, 5.9365, 3.2023)  0.00
H (-0.3986, -0.0894, -5.5042)  0.00
H (0.7594, -9.3798, -0.3010)  0.00
H (-1.7865, -9.3838, -0.8616)  0.00
H (-3.1640, -3.8279, 1.0063)  0.00

Cartesian forces (eV/Å) of the 2 atoms listed first:
-0.80 -0.98 -0.64
4.64 -1.59 -5.76

~~~~~

Arrangement 1

{
  "formula": "C6H15N",
  "method": "wB97M-V/def2-TZVPD",
  "molar_mass_g_mol": 101.19,
  "orbital_gap_ev": 8.3,
  "homo_ha": -0.2851,
  "smiles": "[H]/N=C(\\C)C(C)C.C",
  "lumo_ha": 0.0214,
  "symbols": ["C", "N", "C", "C", "C", "C", "C", "H", "H", "H", "H", "H", "H", "H", "H", "H", "H", "H", "H", "H", "H", "H"],
└──
[Wanted]
Next, filter the contents earlier on: keep the lines with the word "separate".
[Result]
ORCA calculation (ωB97M-V/def2-TZVPD) on a cluster of 3 separate species, C30H54BClN2O4S in total.